Chapter 20

A/N: A little bonus for following through with this fic. I felt so sorry I just couldn't leave you guys with out something to think about. Enjoy your theories about the ending!

Fight for the Computer Arc. POG!

Next to the entry, the page also holds records of molecules:
No. 1
This record from the Open Molecules 2025 dataset describes a cluster of 2 separate species, C6H10O in total. The level of theory is ωB97M-V/def2-TZVPD.

```
17
Properties=species:S:1:pos:R:3:forces:R:3
C -1.88102 -0.00157 0.62809 -0.141 0.388 0.115
C -1.35696 0.97691 -0.10682 -0.256 -0.040 0.119
C 0.02633 1.54357 0.10543 0.075 -0.011 0.036
C 0.74790 0.68460 -0.89228 0.220 -0.126 -0.094
C 1.39842 -0.46421 -0.65621 0.197 0.348 -0.071
C 1.75578 -0.99669 0.67317 -0.019 0.134 0.319
O 1.41017 -0.54640 1.74828 0.139 -0.216 -0.475
H -1.39744 -0.35120 1.53714 -0.053 0.105 -0.116
H -0.91943 -1.69235 -0.11137 0.073 -0.406 -0.111
H -2.80320 -0.49372 0.33160 0.021 0.175 0.108
H -1.84494 1.27709 -1.03371 -0.048 -0.015 0.155
H 0.08335 2.60553 -0.15695 -0.031 -0.189 -0.001
H 0.38733 1.38756 1.12233 -0.117 0.000 -0.187
H 0.55217 0.94337 -1.93287 0.119 -0.028 0.083
H 1.69443 -1.08824 -1.49794 0.132 0.191 0.103
H -0.25702 -1.88625 -0.39339 -0.226 -0.392 -0.033
H 2.40412 -1.89800 0.63552 -0.084 0.082 0.050
```
Forces are in eV/Å.

Calculated values
energy relative to the best compared isomer or geometry (same formula, charge and spin)	2.6129	eV
max |F|	0.54	eV/Å
Kohn-Sham gap	9.697	eV
SMILES	C=CC/C=C\C=O.[H][H]
total energy	-309.7463	hartree

---

No. 2
This record from the Open Molecules 2025 dataset describes a structure of composition C39H37AsN2O5Ru. The level of theory is ωB97M-V/def2-TZVPD.

```
85
Properties=species:S:1:pos:R:3:forces:R:3
Ru -1.14489 -0.76016 -0.27640 -0.410 -0.062 0.204
C -1.97683 -4.91517 -1.12427 0.003 0.002 0.008
O -1.24265 -3.76059 -0.54946 0.032 0.088 0.053
C -1.76926 -2.62112 -0.71670 0.073 0.010 0.051
O -2.79165 -2.19179 -1.18440 -0.018 0.036 -0.079
H -1.35244 -5.76943 -0.89529 -0.013 0.006 -0.004
H -2.06891 -4.75629 -2.19471 -0.003 -0.007 0.007
H -2.94667 -4.97938 -0.63957 0.001 -0.011 -0.014
C -6.05117 3.45158 -2.86021 0.010 -0.009 0.001
C -5.62164 4.02855 -1.67405 -0.009 -0.006 -0.014
C -4.67957 3.38678 -0.88358 0.112 0.077 0.092
C -4.16001 2.16978 -1.30822 -0.200 -0.252 -0.106
C -4.61480 1.56620 -2.47848 0.040 -0.120 0.031
C -5.55387 2.21818 -3.25977 -0.015 0.019 0.001
As -2.82992 1.27994 -0.24280 0.455 0.255 0.329
C -1.12003 1.57262 -1.14876 -0.146 0.289 -0.062
C 0.02983 2.02456 -0.47401 0.105 -0.152 0.185
C 1.17290 2.34409 -1.18545 -0.025 -0.016 0.036
C 1.17461 2.23656 -2.57212 0.014 0.002 0.022
C 0.05228 1.77718 -3.25182 -0.049 -0.038 0.008
C -1.08689 1.43802 -2.54730 0.064 -0.058 -0.157
C -2.67725 2.20212 1.44023 -0.213 0.013 -0.034
C -2.10795 3.46894 1.56031 0.072 -0.007 -0.125
C -2.10380 4.10660 2.79113 -0.004 -0.011 0.002
C -2.68601 3.49624 3.89471 -0.007 -0.001 -0.004
C -3.27954 2.24794 3.77101 0.008 0.016 -0.001
C -3.27580 1.60041 2.54473 -0.021 -0.092 -0.019
H -6.78818 3.95665 -3.46910 -0.010 0.008 -0.001
H -6.02301 4.98035 -1.35508 -0.006 0.011 0.003
H -4.36073 3.84409 0.04492 0.007 -0.039 -0.021
H -4.26579 0.58209 -2.77141 0.019 0.025 -0.002
H -5.90957 1.75657 -4.17043 0.001 -0.004 -0.008
The records of molecules stop here:


Techno arrived back as he decided that he couldn't take it anymore. The red lines and strings only reminded him as if everyone was a puppet. A puppet on strings acting on a mere author's whim.

He only got this sight after looking at the computer, but now he has this sight he would have to search the computer for answers. The only place that could have another laptop would be pogtopia.

Jchlatt stared as the computer wrote a bit more. He was in control of everything with this, or was he?

Techno walked up to the gate as he met two people waiting for him. A man wearing striped coat that was green and white stood there with a small teen wearing a red and white shirt.

"You're Techno right?"

Techno prepared for a fight however the man in striped clothes spoke "We need your help."

Techno narrowed his eyes and asked "I'll help depending on what it is. Plus I'm expecting something in return."

"I'm Philza and this little gremlin is Tommy."

"Is he an orphan?"

Techno brandished his sword and waved it at Tommy. Philza cringed and decided to help Tommy.

"No I'm his guardian for NOW."

Tommy relaxed until he heard Philza say for now. Techno sighed as he asked "So what do you need me for?"

"Power, we need to take down Jschlatt. He's a tyrant ruling this city thanks to this weird laptop he found."

Techno's eyes sharpened, "I'll help but I want to investigate this laptop after we get rid of Jschlatt."

Jschlatt watched on as everything happened exactly like the laptop wrote in real time.

"Oh my sweet laptop Larry."

Jschlatt hardened his eyes as he sent a command to send reinforcements the moment they try anything.

He shut the laptop as he turned around to leave.

Surprisingly he actually put a sticker on it that had the name Larry on it.


Techno decided that he would have to infiltrate it first. Philza and Tommy both had their weapons ready. Techno simply needed to know his one objective "So basically kill schlatt."

Philza nodded while Tommy gave a "Yep". Techno grinned as he climbed over the wall. "Sic semper tyrannis"

However what shocked him was that a squad of soldiers was waiting for him as he sliced and cut. Limbs flew as necks were slit, Techno was confused as the voices seemed to be getting more exited some of them were screaming "It's almost here, the end of the journey is soon!"

Techno motioned Philza and Tommy to follow, Jschlatt started sweating in his palms as the laptop did not mention how strong Techno was. Jschlatt panicked as he started calling for more reinforcements, Techno laughed as he talked with Tommy almost treating him as a little brother. Philza was more of a fatherly figure as he was the one who quelled the fire between arguments.

A stream of soldiers rushed at Techno as both Philza and Techno drew their swords. Jschlatt watched as the stream of blood and limbs slowly inched closer no matter how many soldiers he sent. A head rolled and touched Jchlatt's feet as he looked up only to find a blade in his chest.

The laptop sat on the desk as Techno's eyes glinted. "Let's take it back to some place safe before I start looking at it." Tommy nodded with happiness that the tyrant was gone, Tommy rushed off as he shouted "See you Philza at the base, I'm telling Tubbo that schlatt is gone!" Philza smiled as he slowly walked back with Techno.

They reached a small housing that was located inside a mountain. Philza smiled as he walked behind the place "Don't worry I'm just going toilet!" Techno waited inside as he studied the outside of the laptop.

Tommy walked in as he looked at Techno.


Philza clutched his chest as he saw a blade sticking from the back of his chest, the blade removed itself as he fell down and saw the perpetrator as he walked off. His vision soon darkened as he bled out.


Techno raised his eyebrow as he asked "Where's Philza?" Tommy smiled as he laughed "Don't worry Philza's simply having problems on the toilet."

Techno laughed until a blade ran itself through his back as a pearl flew in front of him and another blade found itself through his throat. Techno cursed himself as he gagged for air, blood filled his throat as he tried to breathe.

Techno fell down as he looked at the two traitors in front of him. Tommy kneeled down as he looked at Techno with a sad face. "You know Techno, I'm grateful though it didn't have to be this way. You're just too strong."

However as Techno slowly faded into darkness he saw Tommy suddenly glitch and he saw his body made out of words and were tied by strings.

Techno slowly faded into the darkness as he emerged into the endless abyss.

He looked around as this was comfortable, no need to get back out into the real world. However at this thought the abyss suddenly filled with multiple red eyes looking at him.

Techno clutched his ears as the voices screamed at him, they demanded that he not die. The ending had not been fulfilled therefore he was not allowed to die. The eyes looked at him as if daring him to deny their entertainment. A smile of someone he held dear brought him back to his senses.

"Right... I still have people waiting for me."

The voices stopped as they closed as if they were satisfied with the answer.

[The effect of Post-Mortal is being used.]


Techno awoke with a gasp as he looked at the blood around him before he looked at the missing laptop. He walked out only to walk to the back and there he was, the fatherly figure in all his glory, dead. Lifeless.

Techno slowly laughed as he vowed to get back at the two brats.